The reader should write out every line further down that contains the word "The".

~~~
Entry 1:
This record from Alexandria describes SnHgBr4 after structural relaxation. The functional is PBE.

As for the relative energy among the computed polymorphs: 0.000 eV/atom. As for the space group: No. 15. The formation energy (no corrections) comes out at -0.590 eV/atom.

a = 10.0306 Å, b = 10.0306 Å, c = 7.2283 Å
α = 109.76°, β = 109.76°, γ = 120.28°
Element x y z (fractional)
Sn (0.1882, 0.8118, 0.7500)
Sn (0.8118, 0.1882, 0.2500)
Hg (0.4335, 0.5665, 0.2500)
Hg (0.5665, 0.4335, 0.7500)
Br (0.1205, 0.5287, 0.8043)
Br (0.1802, 0.2885, 0.2100)
Br (0.2885, 0.1802, 0.7100)
Br (0.4713, 0.8795, 0.6957)
Br (0.5287, 0.1205, 0.3043)
Br (0.7115, 0.8198, 0.2900)
Br (0.8198, 0.7115, 0.7900)
Br (0.8795, 0.4713, 0.1957)

***

Entry 2:
This record from Alexandria describes Er6Ga3Co after structural relaxation. The functional is PBE.

As for the space group: No. 14. The total energy comes out at -4.68 eV per atom.

a = 5.8383 Å, b = 8.2963 Å, c = 11.6478 Å
α = 90.00°, β = 118.74°, γ = 90.00°
Element x y z (fractional)
Er (0.0499, 0.1639, 0.4343)
Er (0.0499, 0.3361, 0.9343)
Er (0.3362, 0.6909, 0.4352)
Er (0.3362, 0.8091, 0.9352)
Er (0.3895, 0.0452, 0.2658)
Er (0.3895, 0.4548, 0.7658)
Er (0.6105, 0.5452, 0.2342)
Er (0.6105, 0.9548, 0.7342)
Er (0.6638, 0.1909, 0.0648)
Er (0.6638, 0.3091, 0.5648)
Er (0.9501, 0.6639, 0.0657)
Er (0.9501, 0.8361, 0.5657)
Ga (0.0000, 0.0000, 0.0000)
Ga (0.0000, 0.5000, 0.5000)
Ga (0.1628, 0.1138, 0.7596)
Ga (0.1628, 0.3862, 0.2596)
Ga (0.8372, 0.6138, 0.7404)
Ga (0.8372, 0.8862, 0.2404)
Co (0.5000, 0.0000, 0.5000)
Co (0.5000, 0.5000, 0.0000)

***

Entry 3:
This record from Alexandria describes CsHoTeSe after structural relaxation. The functional is PBE.

As for the space group: No. 160. The formation energy (no corrections) comes out at -1.521 eV/atom.

a = 9.1206 Å, b = 9.1206 Å, c = 9.1206 Å
α = 27.71°, β = 27.71°, γ = 27.71°
Element x y z (fractional)
Cs (0.0000, 0.0000, 0.0000)
Ho (0.8399, 0.8399, 0.8399)
Te (0.4386, 0.4386, 0.4386)
Se (0.2294, 0.2294, 0.2294)

***

Entry 4:
This record from Alexandria describes TaNiPd6 after structural relaxation. The functional is PBE.

As for the relative energy among the computed polymorphs: 0.000 eV/atom. As for the space group: No. 139.

a = 8.2931 Å, b = 8.2931 Å, c = 8.2931 Å
α = 152.60°, β = 152.60°, γ = 39.13°
Element x y z (fractional)
Ta (0.0000, 0.0000, 0.0000)
Ni (0.5000, 0.5000, 0.0000)
Pd (0.1176, 0.6176, 0.5000)
Pd (0.2526, 0.2526, 0.0000)
Pd (0.3824, 0.8824, 0.5000)
Pd (0.6176, 0.1176, 0.5000)
Pd (0.7474, 0.7474, 0.0000)
Pd (0.8824, 0.3824, 0.5000)

***

Entry 5:
This record from Alexandria describes ScPd3Pt4 after structural relaxation. The functional is PBE.

As for the relative energy among the computed polymorphs: 0.000 eV/atom. As for the space group: No. 13.

a = 4.9024 Å, b = 5.6436 Å, c = 9.2898 Å
α = 90.00°, β = 99.34°, γ = 90.00°
Element x y z (fractional)
Sc (0.0000, 0.1221, 0.2500)
Sc (0.0000, 0.8779, 0.7500)
Pd (0.2517, 0.1272, 0.0006)
Pd (0.2517, 0.8728, 0.5006)
Pd (0.5000, 0.1321, 0.7500)
Pd (0.5000, 0.8679, 0.2500)
Pd (0.7483, 0.1272, 0.4994)
Pd (0.7483, 0.8728, 0.9994)
Pt (0.0000, 0.3762, 0.7500)
Pt (0.0000, 0.6238, 0.2500)
Pt (0.2478, 0.3750, 0.4987)
Pt (0.2478, 0.6250, 0.9987)
Pt (0.5000, 0.3705, 0.2500)
Pt (0.5000, 0.6295, 0.7500)
Pt (0.7522, 0.3750, 0.0013)
Pt (0.7522, 0.6250, 0.5013)

***

Entry 6:
This record from Alexandria describes Ta2Hg3 after structural relaxation. The functional is PBE.

As for the relative energy among the computed polymorphs: 0.255 eV/atom. As for the space group: No. 164.

a = 4.7480 Å, b = 4.7480 Å, c = 5.8218 Å
α = 90.00°, β = 90.00°, γ = 120.00°
Element x y z (fractional)
Ta (0.3333, 0.6667, 0.3899)
Ta (0.6667, 0.3333, 0.6101)
Hg (0.0000, 0.0000, 0.5000)
Hg (0.3333, 0.6667, 0.8835)
Hg (0.6667, 0.3333, 0.1165)

***

Entry 7:
This record from Alexandria describes Li2LaNd2Pb2 after structural relaxation. The functional is PBE.
~~~

This record from Alexandria describes SnHgBr4 after structural relaxation. The functional is PBE.
As for the relative energy among the computed polymorphs: 0.000 eV/atom. As for the space group: No. 15. The formation energy (no corrections) comes out at -0.590 eV/atom.
This record from Alexandria describes Er6Ga3Co after structural relaxation. The functional is PBE.
As for the space group: No. 14. The total energy comes out at -4.68 eV per atom.
This record from Alexandria describes CsHoTeSe after structural relaxation. The functional is PBE.
As for the space group: No. 160. The formation energy (no corrections) comes out at -1.521 eV/atom.
This record from Alexandria describes TaNiPd6 after structural relaxation. The functional is PBE.
This record from Alexandria describes ScPd3Pt4 after structural relaxation. The functional is PBE.
This record from Alexandria describes Ta2Hg3 after structural relaxation. The functional is PBE.
This record from Alexandria describes Li2LaNd2Pb2 after structural relaxation. The functional is PBE.